Following are examples of states that have included a community schools strategy in their ESSA State Plans:
____________
Entry 1:
A cluster of 2 separate species, C17H16N2O4S2 in total at a distorted geometry. Source: the OMol25 dataset; level of theory: the ωB97M-V functional and the def2-TZVPD basis.

Last column: natural (NBO) charge in e.
Cartesian coordinates (Å):
C (0.72422, -1.74438, 2.51030)  -0.1852
C (0.17199, -0.84516, 1.68923)  -0.6216
S (0.88015, -0.61976, 0.08650)  2.1718
O (2.08063, -1.42757, 0.03817)  -0.9425
O (-0.14941, -0.71735, -0.92811)  -0.9229
C (1.61059, 1.02396, -0.07414)  -0.3412
C (1.09518, 1.90321, -1.02552)  -0.1767
C (1.92995, 2.88171, -1.57567)  -0.2219
C (3.24936, 3.01853, -1.11495)  -0.1834
C (3.75205, 2.15184, -0.12727)  -0.2432
C (2.91561, 1.17772, 0.41126)  -0.1008
S (-1.49804, -0.24499, 2.06656)  2.1573
O (-1.42218, 0.54968, 3.27060)  -0.9315
O (-2.39197, -1.38468, 2.00279)  -0.9276
C (-2.11428, 0.90343, 0.83535)  -0.3253
C (-3.03636, 0.53490, -0.14476)  -0.1532
C (-3.42620, 1.49281, -1.08640)  -0.2195
C (-2.89669, 2.78757, -1.01495)  -0.1893
C (-2.21477, 3.19342, 0.13879)  -0.2136
C (-1.83146, 2.24064, 1.07520)  -0.1913
H (1.74187, -2.09552, 2.39617)  0.2372
H (0.19510, -1.91594, 3.45388)  0.2281
H (0.05699, 1.83090, -1.32862)  0.2440
H (1.55676, 3.52033, -2.38336)  0.2210
H (3.90431, 3.78560, -1.55215)  0.2186
H (4.79607, 2.22852, 0.20131)  0.2220
H (3.29457, 0.52776, 1.19116)  0.2214
H (-3.41232, -0.48453, -0.14927)  0.2455
H (-4.13912, 1.22397, -1.86752)  0.2250
H (-3.04212, 3.49520, -1.83447)  0.2198
H (-1.96328, 4.23837, 0.33067)  0.2232
H (-1.28123, 2.50437, 1.97394)  0.2509
C (-0.92283, -3.29637, -0.56085)  -0.0639
C (-0.52402, -4.08187, -1.63550)  -0.1211
N (0.71656, -4.58047, -1.27081)  -0.5304
C (1.04077, -4.07232, -0.02617)  0.1898
N (0.08159, -3.27534, 0.39339)  -0.5272
H (-1.82394, -2.73369, -0.41766)  0.2201
H (-1.01008, -4.24594, -2.58935)  0.2207
H (1.33381, -5.15341, -1.84269)  0.4162
H (1.97220, -4.29517, 0.48492)  0.2007

Total charge: 0
HOMO energy: -8.45 eV
SMILES: C=C(S(=O)(=O)c1ccccc1)S(=O)(=O)c1ccccc1.c1c[nH]cn1
HOMO-LUMO gap: 8.5914 eV

***

Entry 2:
A cluster of 2 separate species, C4H8ClN in total at a distorted geometry. Source: the OMol25 dataset; level of theory: the ωB97M-V functional and the def2-TZVPD basis.

Last column: natural (NBO) charge in e.
Cartesian coordinates (Å):
C (0.86612, -0.51428, 0.86764)  0.3203
C (0.64601, -1.82719, 0.38297)  -0.7307
C (-1.01212, 0.73334, -1.33408)  -0.6757
C (-0.56907, 1.47395, -0.14658)  -0.2766
N (1.60472, -0.16895, 1.75896)  -0.4542
Cl (1.55149, 1.43990, 2.37051)  0.0973
H (-0.30472, -2.23405, 0.89462)  0.2575
H (1.53725, -2.51093, 0.43179)  0.2466
H (0.39160, -1.78097, -0.71999)  0.2312
H (-1.11380, 1.27688, -2.21630)  0.2199
H (-2.14481, 0.33450, -1.18873)  0.1956
H (-0.44921, -0.17542, -1.43045)  0.2144
H (-1.26723, 1.83884, 0.53855)  0.1770
H (0.26379, 2.11437, -0.20891)  0.1774

Total charge: 0
HOMO energy (spin up / spin down): -8.14 / -8.29 eV
HOMO-LUMO gap (spin up / spin down): 8.4191 / 7.9355 eV

***

Entry 3:
____________
## The data records stop here
Date approved by DOE: 1/19/2018
Hawaii’s ESSA Plan includes community schools as a potential evidence- and research-based strategy for school improvement. This discussion is included in a section about rigorous interventions for schools that fail to meet the state’s exit criteria.
The plan also describes community schools’ six-part strategic approach as: “1) Curricula that are engaging, culturally relevant, and challenging; 2) Emphasis on high-quality teaching, not on high-stakes testing; 3) Wraparound supports such as health care, eye care, and social and emotional services that support academics; 4) Positive discipline practices, such as restorative justice and social and emotional learning supports; 5) Authentic parent and community engagement; and 6) Inclusive school leadership.” Pg. 63.
Study: Center for Popular Democracy, Coalition for Community Schools, and Southern Education Foundation, Community Schools: Transforming Struggling Schools into Thriving Schools, Feb. 2016. |
Website: Coalition for Community Schools: www.communityschools.org |
Date approved by DOE: 8/30/2017
[Between two parts of the piece: records of molecules]
<<<
108
Properties=species:S:1:pos:R:3 method="wB97M-V/def2-TZVPD" gap_ev=7.39 homo_energy_ev=-8.07
C 10.451 2.785 -1.022
C 9.788 1.752 -2.128
C 9.378 0.294 -1.418
C 8.119 -0.285 -2.317
C 6.739 0.204 -1.538
C 5.732 -1.130 -1.565
C 4.334 -0.653 -0.855
C 3.099 -1.619 -1.436
C 1.831 -1.374 -0.426
C 0.842 -2.665 -0.221
C -0.749 -2.362 -0.568
C -1.609 -3.316 -1.639
C -3.204 -2.996 -2.022
C -3.932 -4.005 -3.116
P -4.113 -2.941 -4.737
O -5.608 -2.934 -5.285
O -3.083 -3.567 -6.042
O -3.638 -1.277 -4.521
C -4.050 -1.719 -1.358
B -5.631 -1.384 -1.674
O -6.547 -2.552 -1.924
O -6.258 -0.047 -1.697
C -7.732 -0.204 -1.493
C -8.490 1.259 -1.239
C -3.182 -0.753 -0.313
C -1.589 -1.091 0.070
S -0.807 0.156 1.289
C -1.517 1.815 0.660
C -0.601 3.175 0.593
C -1.213 4.595 0.000
C -2.791 4.530 -0.524
P -3.662 6.078 -1.300
P -3.660 7.772 0.076
O -3.979 9.112 -0.749
O -2.103 7.859 0.853
O -5.008 7.548 1.175
C -3.721 3.162 -0.433
S -5.491 3.176 -1.044
C -3.112 1.724 0.166
N -3.933 0.438 0.257
S -4.393 0.155 1.936
H 11.239 3.435 -1.615
H 10.994 2.163 -0.182
H 9.606 3.426 -0.504
H 8.758 2.193 -2.531
H 10.496 1.475 -3.017
H 10.264 -0.491 -1.468
H 9.116 0.483 -0.290
H 8.065 0.179 -3.393
H 8.096 -1.455 -2.358
H 6.938 0.461 -0.391
H 6.191 1.097 -2.081
H 5.464 -1.428 -2.682
H 6.178 -2.016 -0.937
H 4.404 -0.746 0.331
H 4.068 0.492 -1.050
H 2.798 -1.117 -2.475
H 3.419 -2.737 -1.573
H 2.258 -1.106 0.656
H 1.183 -0.455 -0.774
H 0.919 -3.156 0.844
H 1.180 -3.510 -0.989
H -1.088 -4.242 -2.167
H -3.255 -4.944 -3.400
H -4.952 -4.448 -2.747
H -3.443 -3.169 -6.912
H -4.285 -0.633 -4.934
H -6.834 -2.461 -2.899
H -7.974 -0.843 -0.516
H -8.266 -0.659 -2.450
H -8.031 2.101 -1.910
H -9.612 1.103 -1.607
H -8.539 1.519 -0.095
H 0.533 3.218 0.946
H -0.582 5.601 -0.100
H -2.847 6.384 -2.476
H -1.487 8.318 0.180
H -5.668 6.997 0.633
H -5.367 3.122 -2.469
H -5.708 0.616 2.132
O 1.696 -4.747 1.358
C 1.409 -5.925 1.571
O 0.263 -6.243 2.212
C -0.254 -7.581 2.345
C 0.366 -8.284 3.536
C 2.367 -7.021 1.208
H -0.135 -8.143 1.414
H -1.332 -7.481 2.510
H 1.448 -8.393 3.422
H -0.070 -9.279 3.667
H 0.203 -7.704 4.450
H 3.112 -7.125 2.002
H 2.869 -6.748 0.275
H 1.889 -7.982 1.026
O 1.802 3.599 3.409
C 0.859 3.719 4.191
O 0.050 4.799 4.124
C -1.179 4.945 4.860
C -0.915 5.486 6.252
C 0.648 2.720 5.290
H -1.745 4.009 4.871
H -1.788 5.668 4.306
H -0.297 4.802 6.839
H -1.855 5.648 6.787
H -0.372 6.435 6.197
H 1.297 2.970 6.133
H 0.912 1.728 4.911
H -0.384 2.650 5.629


22
Properties=species:S:1:pos:R:3 method="wB97M-V/def2-TZVPD" gap_ev=10.05 charge=-1 homo_energy_ev=-6.76
Cl 0.152 0.310 -0.618
O 1.932 2.729 -0.119
H 2.394 2.760 0.715
H 1.204 2.181 -0.013
O -1.385 -2.704 0.604
H -1.474 -2.084 -0.129
H -0.463 -2.746 0.882
O -2.719 0.081 1.505
H -2.850 0.440 2.351
H -1.869 0.279 1.165
O 0.218 -1.504 -3.030
H 1.060 -1.568 -3.436
H 0.318 -0.989 -2.207
O 2.808 -0.213 0.972
H 1.939 -0.145 0.585
H 2.679 0.089 1.865
O 0.385 0.245 2.570
H 0.257 0.348 1.635
H -0.157 -0.488 2.908
O -1.877 1.033 -2.779
H -1.148 1.199 -3.395
>>>
Illinois’ ESSA Plan lists “Full-Service Community School Programs” as a use for Title IV, Part F funds to, along with several other initiatives funded under Title IV, “coordinate state-level strategies in order to reduce exclusionary discipline, implement evidence-based behavioral health awareness training programs, expand access for school-based counseling and behavioral health programs, and improve outcomes of children living in the most distressed communities.” Pg. 106.
The plan also explains that the Illinois State Board of Education “acknowledges the impact of the community school model as it embeds family engagement as a core pillar for school and student success. Community schools strengthen opportunities for schools and partners from across the community to come together to educate and support students and families in building thriving communities.” Pg. 109.
Report: Linda Darling-Hammond, Song Bae, Channa M. Cook-Harvey, Livia Lam, Charmaine Mercer, Anne Podolsky, and Elizabeth Leisy Stosich, Pathways to New Accountability Through the Every Student Succeeds Act (Palo Alto: Learning Policy Institute, 2016). |
Date approved by DOE: 1/16/2018
In describing the technical assistance the state will provide to each LEA serving a significant number or percentage of schools identified for comprehensive or targeted support and improvement, Maryland’s ESSA Plan explains the Four Domains for Rapid School Improvement: A Systems Framework (2017) developed by the Center for School Turnaround at WestEd. The plan states that “[t]his framework embraces and expands the concept of community schools by identifying actions at the State, local school system, and school level for community involvement in school improvement.” Pg. 39
Framework: The Center on School Turnaround. (2017). Four Domains for Rapid School Improvement: A Systems Framework (The Center for School Turnaround at WestEd), San Francisco, CA: WestEd. |
Date approved by DOE: 9/21/2017
In the section discussing how the SEA will ensure that the unique educational needs of migratory children are addressed, Massachusetts’ ESSA Plan explains that “[c]ollaborative efforts have been made to support migrant students[’] transition from high school with school districts, community-based organizations, and local colleges.” Community schools are listed as an example of a partnership established by the [Massachusetts Migrant Education Program] staff for not only this population but for all migrant students and parents.” Pg. 104.
Date approved by DOE: 1/10/2018
Minnesota’s ESSA Plan lists “Full Services Community Schools Grants” under “Other State Strategies to Improve Low-Performing Schools.” The Plan explains that Full Service Community Schools is a state grant program “established in 2015 that provides funding to eligible schools to plan, implement and improve full-service community schools. The program prioritizes schools identified for improvement.”
The plan further explains that “[a]dditional funds were allocated in 2016 for expansion of the program. The current funding has provided grants to 13 schools—four in round one and nine additional schools in round two. Full service community school grant funds allow schools to partner with community agencies to provide on-site health and dental clinics, mental health services, family resource centers, college access information, out-of-school program information, and other family support services as outlined in Minnesota Statutes, section 124D.231.” Pg. 22.
New Mexico
Date approved by DOE: 9/8/2017
New Mexico’s ESSA Plan explains that the state’s Public Education Department “will support community school models including community-based health centers in schools with the highest need. PED will continue to provide technical assistance to LEAs on how to leverage funds to provide services for students and families including families experiencing homelessness, migrant families and students in foster care. Additional social workers are provided to schools with high poverty rates to assist students and families and opportunities to provide truancy coaches are also available for schools.” Pg. 141.
New York
Date approved by DOE: 1/16/2018
Community Schools are listed as an intervention for low-performing schools under a section about New York State Receivership Law. The plan explains that, under the receivership law, “a school receiver has the authority to … convert schools to community schools providing wraparound services.” Pg. 103.
Study: Sebastian Castrechini and Rebecca A. London, Positive Student Outcomes in Community Schools, (Center for American Progress and John W. Gardner Center for Youth and Their Communities, February 2012). |
Date approved by DOE: 1/16/2018
In Ohio, Community Schools are referred to as “community learning centers,” which is a type of “Student Support School” authorized under Ohio law. Ohio’s ESSA Plan explains that “Any district school or community (charter) school is eligible to implement the community learning center model to become a Student Support School. Each school can identify the services it wants to provide based on student or community needs, such as school-based health centers, extended educational opportunities, early childhood development, parent resources, and college and career planning.” Pg. 66.
Ohio’s ESSA Plan also lists community learning centers as part of its Ohio Improvement Process, which is a “framework to establish systemic collaborative structures within schools and districts designed to support development and implementation of a strategic improvement plan and focused goals.” Also, the ESSA Plan explains that “[t]o assist schools and districts in educating the whole child, especially Ohio’s most vulnerable students, the Department will develop and share information regarding implementation of community learning center models.” Pg. 52.
Date approved by DOE: 1/16/2018
Pennsylvania’s ESSA Plan extensively discusses community schools. Pennsylvania’s Vision for Public Education, as described in the ESSA Plan, includes a community schools initiative. The plan cites the community schools model as an example of an “evidence-based initiative that bring[s] together school and community resources to meet the needs of the whole child and address non-academic barriers to academic achievement.” The plan explains that “State policy and resources” should support such initiatives. The plan also states that PDE “will work with the PA Community Schools Coalition to identify and support best practice activities in professional development, advocacy, stakeholder engagement, governance, and communications.” Pgs. 4–5, 99–100.
Additionally, the plan includes a spotlight on three site-based examples of community schools initiatives throughout the state: Lancaster (cited as an example of building systemic grassroots partnerships and structures), Lehigh Valley (cited as an example of leveraging national leadership to promote communitywide collective impact), and Philadelphia (cited as an example of university-assisted model and citywide community schools). Pg. 101.
Report: Community Schools: A Whole-Child Framework for School Improvement, Institute for Educational Leadership and Coalition for Community Schools, April 2017. |
Policy Brief: D. Jenkins and M. Duffy, Community Schools in Practice: Research on Implementation and Impact, Research for Action, January 2016. |
Date approved by DOE: 8/30/2017
Tennessee’s ESSA Plan lists the community school model as a strategy for parent and community engagement, though one that the state appears to be still exploring rather than currently implementing. The plan explains that the Tennessee Department of Education “will explore the scope and cost of partnering with an external entity or develop its own model for the development and expansion of community schools across the state, particularly in Priority schools who often have a greater need for additional student support and wraparound services.” The implementation timeline is “to be determined,” and the funding source is listed as “Title I (including Consolidated Administration and school improvement funds) and State dollars if expanded to Focus schools.” Pg. 174
Calculated molecules, as found in the file >
┌──
Record 1
21
Properties=species:S:1:pos:R:3 method="wB97M-V/def2-TZVPD" de_lowest_kcal_mol=55.0 total_charge=-1 fmax_ev_per_a=7.05 spin_multiplicity=2 homo_lumo_gap_ev="2.64 / 9.29"
C -0.69158 -1.69427 0.54972
O -0.61721 -2.65292 1.60131
C -0.09202 -0.39329 1.03872
C -0.34920 0.85706 0.10578
S -2.27276 0.98098 0.13677
N 1.47296 -0.69835 0.98480
H -0.26752 -2.33510 -0.29563
H -1.74423 -1.68403 0.37970
H 0.36031 -2.67685 1.82016
H -0.32243 -0.18147 2.12131
H -0.00137 0.62970 -0.98318
H 0.32949 1.73926 0.63900
H -2.50595 0.78490 -1.01603
H 1.72720 -1.18187 1.86241
H 1.92605 0.15497 1.02062
H 2.71218 0.44248 -0.52069
H 2.55210 1.25041 -1.72017
O 3.18454 1.05512 -0.92476
H 0.41772 1.91728 -3.13850
H 0.88199 0.74240 -3.52833
O 0.78075 1.21950 -2.66253

=====

Record 2
61
Properties=species:S:1:pos:R:3 method="wB97M-V/def2-TZVPD" de_lowest_kcal_mol=128.7 fmax_ev_per_a=2.99 homo_lumo_gap_ev=4.44
C 5.90964 -0.09393 -0.12386
C 4.65468 -0.54322 0.57280
O 3.86476 -1.35770 -0.30604
C 2.76047 -1.81879 0.36625
C 1.78454 -2.48358 -0.47368
C 0.59509 -3.00400 0.10115
O -0.05607 -3.96154 -0.38543
C -0.02984 -2.37892 1.32936
C -0.06139 -0.98983 1.53275
C -0.66759 -0.43902 2.65233
C -1.28838 -1.29715 3.58238
N -1.69831 -0.78903 4.84377
O -2.12593 -1.60470 5.69251
O -1.58935 0.43475 5.07550
C -1.30881 -2.69067 3.37412
C -0.71463 -3.21476 2.23672
O 2.66749 -1.63692 1.58246
H 6.46280 0.53704 0.57180
H 6.55189 -0.93846 -0.38877
H 5.70154 0.50713 -1.01375
H 4.90084 -1.12368 1.46872
H 4.07044 0.33744 0.87372
H 1.96138 -2.50758 -1.54003
H 0.42227 -0.33352 0.81063
H -0.62562 0.63017 2.84068
H -1.77438 -3.32887 4.12124
H -0.74969 -4.29278 2.07246
C 5.65013 -3.95165 -2.55226
C 5.10923 -5.31978 -2.63831
N 5.89593 -6.41489 -2.72535
C 5.13075 -7.58084 -2.81169
C 3.77475 -7.20088 -2.74670
C 2.78374 -8.18032 -2.79052
C 3.16545 -9.52311 -2.92424
C 4.52850 -9.88052 -2.99088
C 5.53448 -8.90155 -2.94194
C 3.74372 -5.73932 -2.64432
C 2.57855 -4.95321 -2.59397
C 1.44332 -5.23610 -3.42204
C 1.53433 -6.04026 -4.59939
C 0.39597 -6.45705 -5.26801
C -0.88384 -6.08958 -4.83186
C -2.06978 -6.68360 -5.51964
C -0.98928 -5.18334 -3.76694
C 0.14794 -4.75445 -3.11515
H 4.87139 -3.25606 -2.88011
H 5.93660 -3.68855 -1.51994
H 6.53235 -3.83974 -3.20187
H 6.90910 -6.38523 -2.74501
H 1.74162 -7.86907 -2.72646
H 2.38867 -10.29201 -2.98750
H 4.79060 -10.93559 -3.07820
H 6.59849 -9.13848 -2.98324
H 2.54892 -4.13007 -1.89992
H 2.51619 -6.34650 -4.95492
H 0.48544 -7.10614 -6.14066
H -3.01215 -6.26416 -5.15933
H -1.99457 -6.52010 -6.60139
H -2.09619 -7.77196 -5.36799
H -1.95955 -4.81491 -3.42848
H 0.07137 -4.09357 -2.25619

=====

Record 3
139
Properties=species:S:1:pos:R:3 method="wB97M-V/def2-TZVPD" total_charge=+1 fmax_ev_per_a=3.46 homo_lumo_gap_ev=9.23
Na 0.35774 0.02684 -0.47669
C -4.07257 1.90571 4.46177
C -3.07656 2.75515 3.61375
C -1.63266 2.24289 3.62352
O -3.47832 2.79575 2.27839
H -4.18687 0.91725 4.01682
H -5.07347 2.33140 4.53313
H -3.59741 1.84122 5.44063
H -3.13590 3.71342 4.12979
└──
West Virginia
Date approved by DOE: 1/10/2018
West Virginia’s ESSA Plan lists community schools as an example of a “recommended universal intervention” that the West Virginia Department of Education supports as a way of improving school conditions for student learning. Specifically, the plan states that “[t]he WVDE will continue to promote the Community Schools Framework (encompassing Communities in Schools) in any public school that serves PreK-12 students and participates in a community-based effort to coordinate and integrate services through partnerships with community-based organizations. The Community Schools Framework is both a service location and a set of partnerships between the school and other community resources. The integrated framework focus[es] on academics, health and social services, youth and community development and community engagement leading to improved student learning, stronger families and healthier communities.” Pg. 52
Date approved by DOE: 1/16/2018
Wisconsin’s ESSA Plan lists community schools as a “more rigorous intervention” for schools needing improvement. The plan explains that the state will provide “[a]dditional requirements and supports, based on the needs assessment and improvement plan,” and lists community schools as an example of “expanded educational design … promoting multiple means of access, assessment, and engagement, more instructional time, positive school climates, and family and community engagement.” Pg. 52–53.